• Assignment:
Could you give back everything further down verbatim?

• Material:
********
Record 1
Computed XRD peak list of Li9Mn2Co5O16 for CuKα, from DFT lattice parameters and positions (PBE+U).
No peak broadening, texture or thermal motion is included.

Structural model:
Unit cell a=5.7837 b=5.8417 c=9.7538 alpha=98.38 beta=90.04 gamma=119.46
Atoms (fractional coordinates):
Li (0.0000, 0.0000, 0.0000)
Li (0.0006, 0.4978, 0.0008)
Li (0.2438, 0.0012, 0.5122)
Li (0.2526, 0.5039, 0.5141)
Li (0.4987, 0.9974, 0.0040)
Li (0.5099, 0.5130, 0.9995)
Li (0.6227, 0.7496, 0.7553)
Li (0.7402, 0.9876, 0.5089)
Li (0.7411, 0.4971, 0.5054)
Mn (0.6226, 0.2492, 0.7554)
Mn (0.8720, 0.2486, 0.2556)
Co (0.1223, 0.2495, 0.7561)
Co (0.1224, 0.7494, 0.7558)
Co (0.3712, 0.7488, 0.2563)
Co (0.3720, 0.2495, 0.2555)
Co (0.8743, 0.7492, 0.2551)
O (0.0370, 0.6009, 0.3712)
O (0.0471, 0.1226, 0.3698)
O (0.1697, 0.3696, 0.1413)
O (0.1951, 0.8960, 0.1380)
O (0.2808, 0.5994, 0.8589)
O (0.3285, 0.1575, 0.8725)
O (0.4210, 0.3577, 0.6463)
O (0.4249, 0.8901, 0.6486)
O (0.5518, 0.6051, 0.3745)
O (0.5739, 0.1287, 0.3707)
O (0.6977, 0.3740, 0.1409)
O (0.7049, 0.8938, 0.1387)
O (0.8183, 0.6077, 0.8619)
O (0.8224, 0.1401, 0.8637)
O (0.9184, 0.3421, 0.6402)
O (0.9652, 0.9000, 0.6532)

Top 10 peaks for 2θ = 10–90°, by angle:
d/Å  2θ (°)  I_rel
4.807  18.46  1000
2.507  35.82  138
2.479  36.24  137
2.471  36.35  126
2.084  43.42  269
2.062  43.92  261
2.057  44.02  260
1.901  47.86  83
1.591  57.96  94
1.467  63.41  209

Record 2
Computed XRD peak list of FeOF for CuKα, from DFT lattice parameters and positions (PBE+U).
No peak broadening, texture or thermal motion is included.

Structural model:
Unit cell a=6.7152 b=3.0990 c=10.6110 alpha=90.00 beta=108.34 gamma=90.00
Atoms (fractional coordinates):
Fe (0.0000, 0.0000, 0.0000)
Fe (0.1432, 0.5000, 0.3600)
Fe (0.3037, 0.0000, 0.6669)
Fe (0.4752, 0.5000, 0.0262)
Fe (0.6677, 0.0000, 0.3337)
Fe (0.8531, 0.5000, 0.6931)
O (0.0213, 0.0000, 0.6824)
O (0.2703, 0.5000, 0.5528)
O (0.2970, 0.0000, 0.0142)
O (0.5950, 0.5000, 0.2193)
O (0.9188, 0.5000, 0.8860)
O (0.9658, 0.0000, 0.3507)
F (0.0592, 0.5000, 0.1473)
F (0.3561, 0.0000, 0.3480)
F (0.4000, 0.5000, 0.8138)
F (0.6303, 0.0000, 0.6826)
F (0.6900, 0.0000, 0.0174)
F (0.7169, 0.5000, 0.4805)

Top 10 peaks for 2θ = 10–90°, by angle:
d/Å  2θ (°)  I_rel
3.357  26.55  1000
2.595  34.56  550
2.374  37.89  77
2.277  39.58  189
2.123  42.58  109
1.752  52.22  588
1.679  54.67  162
1.549  59.67  97
1.411  66.26  106
1.408  66.42  214

Record 3
Computed XRD peak list of Li2MnF6 for CuKα, from DFT lattice parameters and positions (PBE+U).
No peak broadening, texture or thermal motion is included.

Structural model:
Unit cell a=6.8103 b=6.8103 c=7.7537 alpha=93.03 beta=93.03 gamma=134.38
Atoms (fractional coordinates):
Li (0.2143, 0.7669, 0.9475)
Li (0.2331, 0.7857, 0.5525)
Li (0.7669, 0.2143, 0.4475)
Li (0.7857, 0.2331, 0.0525)
Mn (0.3709, 0.6291, 0.2500)
Mn (0.6291, 0.3709, 0.7500)
F (0.0398, 0.5195, 0.3218)
F (0.1722, 0.4631, 0.0285)
F (0.2481, 0.3179, 0.3139)
F (0.3179, 0.2481, 0.8139)
F (0.4631, 0.1722, 0.5285)
F (0.4805, 0.9602, 0.1782)
F (0.5195, 0.0398, 0.8218)
F (0.5369, 0.8278, 0.4715)
F (0.6821, 0.7519, 0.1861)
F (0.7519, 0.6821, 0.6861)
F (0.8278, 0.5369, 0.9715)
F (0.9602, 0.4805, 0.6782)

Top 10 peaks for 2θ = 10–90°, by angle:
d/Å  2θ (°)  I_rel
4.861  18.25  1000
4.828  18.37  426
4.342  20.46  340
3.874  22.96  123
3.841  23.16  154
3.269  27.28  128
3.104  28.76  157
2.207  40.89  159
2.153  41.97  191
1.862  48.91  191

Record 4
Computed XRD peak list of Na3V5O10 for CuKα, from DFT lattice parameters and positions (PBE+U).
No peak broadening, texture or thermal motion is included.

Structural model:
Unit cell a=5.2004 b=6.5777 c=13.3780 alpha=91.90 beta=97.77 gamma=104.57
Atoms (fractional coordinates):
Na (0.0000, 0.0000, 0.0000)
Na (0.0028, 0.8003, 0.2006)
Na (0.4963, 0.2960, 0.7006)
Na (0.5000, 0.5000, 0.5000)
Na (0.5037, 0.7040, 0.2994)
Na (0.9972, 0.1997, 0.7994)
V (0.9998, 0.1090, 0.3998)
V (0.0000, 0.5000, 0.0000)
V (0.0002, 0.8910, 0.6002)
********

• Reply:
Record 1
Computed XRD peak list of Li9Mn2Co5O16 for CuKα, from DFT lattice parameters and positions (PBE+U).
No peak broadening, texture or thermal motion is included.

Structural model:
Unit cell a=5.7837 b=5.8417 c=9.7538 alpha=98.38 beta=90.04 gamma=119.46
Atoms (fractional coordinates):
Li (0.0000, 0.0000, 0.0000)
Li (0.0006, 0.4978, 0.0008)
Li (0.2438, 0.0012, 0.5122)
Li (0.2526, 0.5039, 0.5141)
Li (0.4987, 0.9974, 0.0040)
Li (0.5099, 0.5130, 0.9995)
Li (0.6227, 0.7496, 0.7553)
Li (0.7402, 0.9876, 0.5089)
Li (0.7411, 0.4971, 0.5054)
Mn (0.6226, 0.2492, 0.7554)
Mn (0.8720, 0.2486, 0.2556)
Co (0.1223, 0.2495, 0.7561)
Co (0.1224, 0.7494, 0.7558)
Co (0.3712, 0.7488, 0.2563)
Co (0.3720, 0.2495, 0.2555)
Co (0.8743, 0.7492, 0.2551)
O (0.0370, 0.6009, 0.3712)
O (0.0471, 0.1226, 0.3698)
O (0.1697, 0.3696, 0.1413)
O (0.1951, 0.8960, 0.1380)
O (0.2808, 0.5994, 0.8589)
O (0.3285, 0.1575, 0.8725)
O (0.4210, 0.3577, 0.6463)
O (0.4249, 0.8901, 0.6486)
O (0.5518, 0.6051, 0.3745)
O (0.5739, 0.1287, 0.3707)
O (0.6977, 0.3740, 0.1409)
O (0.7049, 0.8938, 0.1387)
O (0.8183, 0.6077, 0.8619)
O (0.8224, 0.1401, 0.8637)
O (0.9184, 0.3421, 0.6402)
O (0.9652, 0.9000, 0.6532)

Top 10 peaks for 2θ = 10–90°, by angle:
d/Å  2θ (°)  I_rel
4.807  18.46  1000
2.507  35.82  138
2.479  36.24  137
2.471  36.35  126
2.084  43.42  269
2.062  43.92  261
2.057  44.02  260
1.901  47.86  83
1.591  57.96  94
1.467  63.41  209

Record 2
Computed XRD peak list of FeOF for CuKα, from DFT lattice parameters and positions (PBE+U).
No peak broadening, texture or thermal motion is included.

Structural model:
Unit cell a=6.7152 b=3.0990 c=10.6110 alpha=90.00 beta=108.34 gamma=90.00
Atoms (fractional coordinates):
Fe (0.0000, 0.0000, 0.0000)
Fe (0.1432, 0.5000, 0.3600)
Fe (0.3037, 0.0000, 0.6669)
Fe (0.4752, 0.5000, 0.0262)
Fe (0.6677, 0.0000, 0.3337)
Fe (0.8531, 0.5000, 0.6931)
O (0.0213, 0.0000, 0.6824)
O (0.2703, 0.5000, 0.5528)
O (0.2970, 0.0000, 0.0142)
O (0.5950, 0.5000, 0.2193)
O (0.9188, 0.5000, 0.8860)
O (0.9658, 0.0000, 0.3507)
F (0.0592, 0.5000, 0.1473)
F (0.3561, 0.0000, 0.3480)
F (0.4000, 0.5000, 0.8138)
F (0.6303, 0.0000, 0.6826)
F (0.6900, 0.0000, 0.0174)
F (0.7169, 0.5000, 0.4805)

Top 10 peaks for 2θ = 10–90°, by angle:
d/Å  2θ (°)  I_rel
3.357  26.55  1000
2.595  34.56  550
2.374  37.89  77
2.277  39.58  189
2.123  42.58  109
1.752  52.22  588
1.679  54.67  162
1.549  59.67  97
1.411  66.26  106
1.408  66.42  214

Record 3
Computed XRD peak list of Li2MnF6 for CuKα, from DFT lattice parameters and positions (PBE+U).
No peak broadening, texture or thermal motion is included.

Structural model:
Unit cell a=6.8103 b=6.8103 c=7.7537 alpha=93.03 beta=93.03 gamma=134.38
Atoms (fractional coordinates):
Li (0.2143, 0.7669, 0.9475)
Li (0.2331, 0.7857, 0.5525)
Li (0.7669, 0.2143, 0.4475)
Li (0.7857, 0.2331, 0.0525)
Mn (0.3709, 0.6291, 0.2500)
Mn (0.6291, 0.3709, 0.7500)
F (0.0398, 0.5195, 0.3218)
F (0.1722, 0.4631, 0.0285)
F (0.2481, 0.3179, 0.3139)
F (0.3179, 0.2481, 0.8139)
F (0.4631, 0.1722, 0.5285)
F (0.4805, 0.9602, 0.1782)
F (0.5195, 0.0398, 0.8218)
F (0.5369, 0.8278, 0.4715)
F (0.6821, 0.7519, 0.1861)
F (0.7519, 0.6821, 0.6861)
F (0.8278, 0.5369, 0.9715)
F (0.9602, 0.4805, 0.6782)

Top 10 peaks for 2θ = 10–90°, by angle:
d/Å  2θ (°)  I_rel
4.861  18.25  1000
4.828  18.37  426
4.342  20.46  340
3.874  22.96  123
3.841  23.16  154
3.269  27.28  128
3.104  28.76  157
2.207  40.89  159
2.153  41.97  191
1.862  48.91  191

Record 4
Computed XRD peak list of Na3V5O10 for CuKα, from DFT lattice parameters and positions (PBE+U).
No peak broadening, texture or thermal motion is included.

Structural model:
Unit cell a=5.2004 b=6.5777 c=13.3780 alpha=91.90 beta=97.77 gamma=104.57
Atoms (fractional coordinates):
Na (0.0000, 0.0000, 0.0000)
Na (0.0028, 0.8003, 0.2006)
Na (0.4963, 0.2960, 0.7006)
Na (0.5000, 0.5000, 0.5000)
Na (0.5037, 0.7040, 0.2994)
Na (0.9972, 0.1997, 0.7994)
V (0.9998, 0.1090, 0.3998)
V (0.0000, 0.5000, 0.0000)
V (0.0002, 0.8910, 0.6002)